-- Job --
Could you find the line further down that holds "48.93", then echo that line and all lines after it there?
-- Data --
'''
(1)
Calculated X-ray powder pattern
Compound: Ca3Ga6Ni5
Radiation: Cu Kα X-rays
Structure: the GGA-PBE geometry in Alexandria
Kinematic intensities with the Lorentz-polarization factor, no thermal factor.

Most intense lines, 5° ≤ 2θ ≤ 70°, in order of falling intensity:
2θ/deg	I (rel.)
36.55	100
43.94	68
36.72	60
39.60	50
43.75	46
19.47	39
47.31	33
42.52	31
42.95	28
23.65	26

abc: 4.122 12.409 9.119
angles: 90.00 90.00 90.00
Atoms (fractional coordinates):
Ca 0.250 0.054 0.247
Ca 0.250 0.446 0.247
Ca 0.250 0.750 0.267
Ca 0.750 0.250 0.733
Ca 0.750 0.554 0.753
Ca 0.750 0.946 0.753
Ga 0.250 0.067 0.586
Ga 0.250 0.250 0.032
Ga 0.250 0.250 0.423
Ga 0.250 0.433 0.586
Ga 0.250 0.599 0.984
Ga 0.250 0.901 0.984
Ga 0.750 0.099 0.016
Ga 0.750 0.401 0.016
Ga 0.750 0.567 0.414
Ga 0.750 0.750 0.577
Ga 0.750 0.750 0.968
Ga 0.750 0.933 0.414
Ni 0.250 0.090 0.869
Ni 0.250 0.410 0.869
Ni 0.250 0.640 0.548
Ni 0.250 0.750 0.788
Ni 0.250 0.860 0.548
Ni 0.750 0.140 0.452
Ni 0.750 0.250 0.212
Ni 0.750 0.360 0.452
Ni 0.750 0.590 0.131
Ni 0.750 0.910 0.131


(2)
Calculated X-ray powder pattern
Compound: Ca12GaNi6
Radiation: Cu Kα X-rays
Structure: the GGA-PBE geometry in Alexandria
Kinematic intensities with the Lorentz-polarization factor, no thermal factor.

Most intense lines, 5° ≤ 2θ ≤ 70°, in order of falling intensity:
2θ/deg	I (rel.)
33.29	100
45.96	44
17.62	38
30.76	26
37.91	17
53.03	14
65.56	14
35.67	13
54.69	13
56.32	12

abc: 8.720 8.720 8.720
angles: 109.47 109.47 109.47
Atoms (fractional coordinates):
Ca 0.121 0.305 0.816
Ca 0.184 0.488 0.305
Ca 0.184 0.879 0.695
Ca 0.305 0.184 0.488
Ca 0.305 0.816 0.121
Ca 0.488 0.305 0.184
Ca 0.512 0.695 0.816
Ca 0.695 0.184 0.879
Ca 0.695 0.816 0.512
Ca 0.816 0.121 0.305
Ca 0.816 0.512 0.695
Ca 0.879 0.695 0.184
Ga 0.000 0.000 0.000
Ni 0.114 0.500 0.614
Ni 0.386 0.886 0.500
Ni 0.500 0.386 0.886
Ni 0.500 0.614 0.114
Ni 0.614 0.114 0.500
Ni 0.886 0.500 0.386


(3)
Calculated X-ray powder pattern
Compound: Ca3Ga4O9
Radiation: Cu Kα X-rays
Structure: the GGA-PBE geometry in Alexandria
Kinematic intensities with the Lorentz-polarization factor, no thermal factor.

Most intense lines, 5° ≤ 2θ ≤ 70°, in order of falling intensity:
2θ/deg	I (rel.)
31.57	100
31.75	83
16.50	68
29.47	48
48.93	40
33.36	30
34.74	23
26.74	22
38.70	21
48.35	19

abc: 11.173 11.173 5.372
angles: 90.00 90.00 99.06
Atoms (fractional coordinates):
Ca 0.000 0.000 0.000
Ca 0.080 0.662 0.963
Ca 0.239 0.239 0.956
Ca 0.338 0.920 0.963
Ca 0.402 0.598 0.907
Ca 0.598 0.402 0.907
Ca 0.662 0.080 0.963
Ca 0.761 0.761 0.956
Ca 0.920 0.338 0.963
Ga 0.016 0.203 0.484
Ga 0.134 0.465 0.437
Ga 0.203 0.016 0.484
Ga 0.262 0.738 0.468
Ga 0.388 0.388 0.392
Ga 0.465 0.134 0.437
Ga 0.535 0.866 0.437
Ga 0.612 0.612 0.392
Ga 0.738 0.262 0.468
Ga 0.797 0.984 0.484
Ga 0.866 0.535 0.437
Ga 0.984 0.797 0.484
O 0.000 0.500 0.237
O 0.024 0.203 0.149
O 0.067 0.346 0.660
O 0.103 0.103 0.659
O 0.154 0.846 0.595
O 0.203 0.024 0.149
O 0.204 0.595 0.637
O 0.245 0.415 0.226
O 0.271 0.729 0.131
O 0.346 0.067 0.660
O 0.394 0.394 0.731
O 0.405 0.796 0.637
O 0.415 0.245 0.226
O 0.500 0.000 0.237
O 0.500 0.500 0.221
O 0.585 0.755 0.226
O 0.595 0.204 0.637
O 0.606 0.606 0.731
O 0.654 0.933 0.660
O 0.729 0.271 0.131
O 0.755 0.585 0.226
O 0.796 0.405 0.637
O 0.797 0.976 0.149
O 0.846 0.154 0.595
O 0.897 0.897 0.659
O 0.933 0.654 0.660
O 0.976 0.797 0.149


(4)
Calculated X-ray powder pattern
Compound: Ca2GaRhO6
Radiation: Cu Kα X-rays
Structure: the GGA-PBE geometry in Alexandria
Kinematic intensities with the Lorentz-polarization factor, no thermal factor.

Most intense lines, 5° ≤ 2θ ≤ 70°, in order of falling intensity:
2θ/deg	I (rel.)
32.81	100
22.95	36
46.90	31
32.23	25
58.93	24
33.13	23
47.26	17
57.84	16
23.12	16
59.01	12

abc: 5.408 5.554 9.397
angles: 90.00 125.04 90.00
Atoms (fractional coordinates):
Ca 0.238 0.055 0.251
Ca 0.238 0.445 0.751
Ca 0.762 0.555 0.249
Ca 0.762 0.945 0.749
Ga 0.500 0.000 0.000
Ga 0.500 0.500 0.500
Rh 0.000 0.000 0.500
Rh 0.000 0.500 0.000
'''
-- Done --
48.93	40
33.36	30
34.74	23
26.74	22
38.70	21
48.35	19

abc: 11.173 11.173 5.372
angles: 90.00 90.00 99.06
Atoms (fractional coordinates):
Ca 0.000 0.000 0.000
Ca 0.080 0.662 0.963
Ca 0.239 0.239 0.956
Ca 0.338 0.920 0.963
Ca 0.402 0.598 0.907
Ca 0.598 0.402 0.907
Ca 0.662 0.080 0.963
Ca 0.761 0.761 0.956
Ca 0.920 0.338 0.963
Ga 0.016 0.203 0.484
Ga 0.134 0.465 0.437
Ga 0.203 0.016 0.484
Ga 0.262 0.738 0.468
Ga 0.388 0.388 0.392
Ga 0.465 0.134 0.437
Ga 0.535 0.866 0.437
Ga 0.612 0.612 0.392
Ga 0.738 0.262 0.468
Ga 0.797 0.984 0.484
Ga 0.866 0.535 0.437
Ga 0.984 0.797 0.484
O 0.000 0.500 0.237
O 0.024 0.203 0.149
O 0.067 0.346 0.660
O 0.103 0.103 0.659
O 0.154 0.846 0.595
O 0.203 0.024 0.149
O 0.204 0.595 0.637
O 0.245 0.415 0.226
O 0.271 0.729 0.131
O 0.346 0.067 0.660
O 0.394 0.394 0.731
O 0.405 0.796 0.637
O 0.415 0.245 0.226
O 0.500 0.000 0.237
O 0.500 0.500 0.221
O 0.585 0.755 0.226
O 0.595 0.204 0.637
O 0.606 0.606 0.731
O 0.654 0.933 0.660
O 0.729 0.271 0.131
O 0.755 0.585 0.226
O 0.796 0.405 0.637
O 0.797 0.976 0.149
O 0.846 0.154 0.595
O 0.897 0.897 0.659
O 0.933 0.654 0.660
O 0.976 0.797 0.149


(4)
Calculated X-ray powder pattern
Compound: Ca2GaRhO6
Radiation: Cu Kα X-rays
Structure: the GGA-PBE geometry in Alexandria
Kinematic intensities with the Lorentz-polarization factor, no thermal factor.

Most intense lines, 5° ≤ 2θ ≤ 70°, in order of falling intensity:
2θ/deg	I (rel.)
32.81	100
22.95	36
46.90	31
32.23	25
58.93	24
33.13	23
47.26	17
57.84	16
23.12	16
59.01	12

abc: 5.408 5.554 9.397
angles: 90.00 125.04 90.00
Atoms (fractional coordinates):
Ca 0.238 0.055 0.251
Ca 0.238 0.445 0.751
Ca 0.762 0.555 0.249
Ca 0.762 0.945 0.749
Ga 0.500 0.000 0.000
Ga 0.500 0.500 0.500
Rh 0.000 0.000 0.500
Rh 0.000 0.500 0.000